The longest – and perhaps the spiciest – plant experiment in the history of the International Space Station, Plant Habitat-04 (PH-04), concluded recently, 137 days after it began.
On Nov. 26, Expedition 66 Flight Engineer Mark Vande Hei harvested and with other members of the crew sampled some of the 26 chile peppers grown from four plants in the orbiting laboratory’s Advanced Plant Habitat (APH), with PH-04 also breaking the record for feeding the most astronauts from a crop grown in space.

“PH-04 pushed the state-of-the-art in space crop production significantly,” said Matt Romeyn, principal investigator for PH-04 from NASA’s Kennedy Space Center in Florida. “With this experiment, we took a field cultivar of a Hatch chile pepper from New Mexico, dwarfed it to fit inside the plant habitat, and figured out how to productively grow the first generally recognized fruiting crop in space – all in a span of a couple years.”

In June, a science carrier containing 48 sanitized pepper seeds launched to the space station. Expedition 65 crew member and NASA astronaut Shane Kimbrough, inserted the carriers into the facility and added water on July 12, starting the PH-04 experiment. Over the course of the experiment, the astronauts performed hands-on work, including removing all but four of the germinated plants, giving each plant enough room to grow, in a total area about the size of a large microwave oven.

The team at Kennedy monitored from the ground and controlled conditions inside the APH. Within several weeks, the plants flowered. The team ran the habitat’s fans at different speeds to disperse pollen, and astronauts performed some pollination by hand. These efforts soon led to fruit. Vande Hei picked the first crop of seven peppers on Oct. 29. The crew ate the first harvest, with NASA astronaut and Expedition 65 flight engineer Megan McArthur adding the peppers to a taco made using fajita beef, rehydrated tomatoes and artichokes. During the second harvest, Vande Hei prepared 12 peppers for return to Earth, and the crew ate the rest as part of taco night. Some members of the crew filled out surveys as part of the data collected, and provided feedback about the peppers.

“The level of excitement around the first harvest and the space tacos was unprecedented for us,” Romeyn said. “All indications are some of the fruit were on the spicier side, which is not unexpected, given the unknown effect microgravity could have on the capsaicin levels of peppers.”

Installed in the space station in 2018, the APH is an enclosed growth chamber with cameras and more than 180 sensors that are in constant interactive contact with a team at Kennedy. It joined NASA’s other orbital growth chamber, the Vegetable Production System, known as Veggie, which is about the size of a carry-on suitcase. Beginning with red romaine lettuce in 2014, Veggie has yielded a variety of plant harvests, including different types of lettuce, Chinese cabbage, mizuna mustard, red Russian kale, and zinnia flowers, as well as scientific research on cotton, algae, and several other experiments. Since 2015, astronauts have eaten nine types of leafy greens grown in Veggie, as well as two crops grown in APH – radishes and peppers.

Unlike Veggie, APH is automated. Although APH’s automation suggests less hands-on work is needed, the act of caring for the peppers illustrated the behavioral health improvements astronauts may experience when growing plants in space.

“The biggest benefit that I’ve seen personally is the impact growing plants has on the crew,” said Nicole Dufour, PH-04’s project manager. “They are so engaged when they are interacting with the plants, especially when it’s a crop plant like the peppers. We discovered the crew had been taking the door shade off every day to check on the plants and look at the peppers. That’s not something we asked them to do – they just wanted to because they enjoyed it so much.”

Despite the excitement generated by the presence of peppers, the team made several observations about plant growth that provide valuable insight to future crop production in microgravity.

“For the most part, the plants have grown similarly on the space station and on the ground, but there have been a few differences,” Romeyn said. “For one, the peppers are delayed by about two weeks on the space station. We think this is caused by a delay in germination, probably related to fluid challenges in microgravity. An interesting observation has been the pedicels – the stems – that connect to the flowers and fruit were not curved at all as seen on the ground, but instead were completely straight, which is definitely a microgravity effect.”

When the chile peppers return to Earth, the PH-04 team at Kennedy will focus on analyzing the data collected, as well as studying samples from the orbiting outpost. The results will help show the effect growing in microgravity had on the crop.

After the success of PH-04, the next planned edible crop experiments include growing dwarf tomatoes and testing new types of leafy greens. The team at Kennedy also has been laying the groundwork for growing microgreens, legumes, and herbs on the space station in the near future. The APH also has a cotton experiment planned, and Veggie will host other plant experiments before astronauts use it to grow more food they plan to eat.

== Quantum chemistry results from another source follow ==
+++
#A
Molecular formula: C6H9ClO
Method: DFT, ωB97M-V/def2-TZVPD

Summary:
SMILES   CO/C=C(C)\C=C/Cl
Orbital gap   0.3392 Eh

```
! wB97M-V def2-TZVPD RIJCOSX def2/J DEFGRID3
* xyz 0 1
O 1.67 -0.80 -0.40
H -2.96 -2.40 -0.02
H -0.53 -1.85 0.33
C -2.45 -1.50 0.07
Cl -3.76 -0.19 -0.24
H -2.18 1.96 -0.63
C 0.76 0.23 -0.27
H -1.44 1.77 1.18
C -0.55 0.11 -0.05
H 2.90 -0.02 1.00
C 2.99 -0.45 -0.07
H 3.38 0.26 -0.69
H 1.09 1.39 0.10
H 3.71 -1.27 -0.05
C -1.17 1.62 0.01
H -0.24 2.29 -0.33
C -1.22 -1.15 0.07
*
```

Atomic partial charges in e from the natural (NBO) method, atoms 1 to 4: O -0.5185; H 0.2206; H 0.2329; C -0.0843

=====

#B
Molecular formula: C6H9ClO
Method: DFT, ωB97M-V/def2-TZVPD

Summary:
SMILES   C=C1COC[C@@]1(C)Cl
Orbital gap   0.3921 Eh

```
! wB97M-V def2-TZVPD RIJCOSX def2/J DEFGRID3
* xyz 0 1
C -0.70 -1.54 1.29
H -0.26 -2.04 2.13
H 2.00 -1.11 1.00
C 1.06 0.46 -1.17
C -1.25 1.27 -0.51
C -0.03 -0.65 0.63
H 1.37 0.22 2.02
H -1.73 -1.81 1.06
H 0.97 1.27 -1.89
H -1.68 1.66 -1.42
Cl -1.23 -0.93 -1.93
O 1.76 0.68 -0.01
H -0.75 2.10 -0.01
H 1.53 -0.38 -1.67
H -2.08 1.01 0.14
C -0.34 0.01 -0.68
C 1.35 -0.21 1.02
*
```

Atomic partial charges in e from the natural (NBO) method, atoms 1 to 4: C -0.3676; H 0.1988; H 0.1809; C -0.0678

=====

Order from most stable to least stable according to the calculation: #B, #A

* * * * *

8
Properties=species:S:1:pos:R:3:forces:R:3:lowdin_charge:R:1 method="wB97M-V/def2-TZVPD" e_homo_ev=-8.99 e_above_lowest_kj_mol=119.35 fmax_ev_per_a=4.6 gap_ev=10.1123 smiles="CP1=CN=1" multiplicity=1
C 1.358003 -0.715480 0.877624 -3.1 -0.1 -0.8 -0.365
C -0.840045 0.445032 -0.700177 -2.8 -1.8 -3.1 -0.389
N 0.648320 -0.098809 1.696215 0.9 0.5 0.4 -0.172
P -0.453421 -0.905082 0.501226 0.5 -1.0 -0.3 0.794
H 2.330748 -0.939457 0.539225 1.2 0.0 0.2 0.050
H -0.325893 0.431501 -1.700803 0.0 0.1 1.3 0.035
H -0.710466 1.290840 -0.139766 0.6 2.7 0.9 -0.039
H -2.007247 0.491455 -1.073545 2.7 -0.6 1.4 0.085

* * * * *

1.
C34H33IrN8O4S3 | ωB97M-V/def2-TZVPD

Geometry as XYZ:
```
83
Properties=species:S:1:pos:R:3:lowdin_spin:R:1
Ir 0.371 -0.659 0.452 0.284
C 4.202 1.414 0.345 0.003
C 3.106 0.446 0.011 0.034
N 1.996 0.496 0.713 0.000
N 1.912 1.596 1.547 0.088
C 0.732 1.956 1.882 0.005
S -0.707 1.025 1.425 0.451
S 0.613 3.272 3.055 -0.005
C -0.609 4.416 2.310 -0.003
C -1.982 3.847 2.108 0.002
C -2.735 3.404 3.193 -0.001
C -3.963 2.801 2.989 0.005
C -4.454 2.638 1.696 0.000
C -3.719 3.094 0.615 0.005
C -2.486 3.701 0.823 0.008
C 3.268 -0.464 -1.113 0.002
C 4.292 -0.168 -2.043 0.010
C 4.496 -0.914 -3.176 0.000
C 3.669 -2.012 -3.423 0.012
C 2.662 -2.333 -2.546 -0.001
C 2.432 -1.581 -1.383 0.009
O 1.474 -2.015 -0.586 0.004
H 4.003 2.371 -0.143 0.001
H 5.167 1.039 0.028 0.000
H 4.220 1.603 1.414 0.001
H -0.196 4.799 1.378 0.000
H -0.615 5.232 3.034 0.000
H -2.345 3.517 4.199 0.000
H -4.546 2.462 3.836 0.000
H -5.414 2.163 1.538 0.000
H -4.083 2.965 -0.395 0.000
H -1.902 4.028 -0.029 0.000
H 4.920 0.695 -1.883 0.000
H 5.285 -0.649 -3.867 0.000
+++

“We went into this experiment knowing it wouldn’t be easy to grow peppers in microgravity, but this experiment was a wildly successful demonstration that we’re on the right path for space crop production,” Romeyn said. “Veggie and APH are both great systems, and we pushed APH to the limits with these chiles. We plan to take lessons we’ve learned and continue to test and develop a much larger variety of plants for eventual integration into the crew diet. Our goal is to enable viable and sustainable crop production for future missions as people explore the Moon and Mars.”